Research Article

The Implementation of Executive Toolbox during Jokowi-JK Administration in the Post-2014 Presidential Election


  • Syafril Efendi Departemen Ilmu Politik, Universitas Indonesia, Indonesia
  • Aditya Perdana Departemen Ilmu Politik, Universitas Indonesia, Indonesia


This research will look at the dynamics that happened post-presidential election of 2014 in Indonesia, which indicated a divided government in the parliament which caused a deadlock at the beginning of the chosen presidential candidates, Jokowi-Jusuf Kalla, for the 2014 - 2019 period. This was the aftermath of the combination between the presidential system and a multiparty system, which showed the executive-legislative relationship in a multiparty presidential system. It could also reveal the inability of the government and the opposition to reach common ground multiple times. However, the case in Indonesia is quite different and interesting to explore how the government aimed to reach a balance and run their administration. The executives were using the executive Toolbox to offer politically strategic positions for the opposition to join the governmental coalition and to intervene in the internal works of political parties. The approach used for this research was a qualitative design. The concept of divided government which was put forward by Hughes & Carlson (2015), was chosen to be the theoretical framework to analyze the dynamic factors of the case. And the theory of executive toolbox usage by Raile et al. (2011) was used by the writer to analysis the presence of executive power in suppressing the dynamics that happened. The results of the research showed that the usage of the executive Toolbox was part of a response from the regime of Jokowi to create stability in facing the dynamics that happened and to gain the support of the opposite parties in the parliament to join the governmental coalition of 2014-2019’s Jokowi-Jusuf Kalla period. This indicates that the government under Jokowi, which combined a multiparty system and the presidential system, can be considered a success, especially in terms of gaining support from the coalition through the usage of the executive Toolbox.

Article information


International Journal of Law and Politics Studies

The text is interrupted by crystal structures:
┌──
Record 1
Na3Sb2: calculated XRD peak list (copper Kα), based on a PBE-relaxed structure.
Peak positions follow from Bragg's law for the DFT cell and can differ from measured ones.

Crystal structure
```
data_Na3Sb2
_chemical_formula_sum 'Na18 Sb12'
_cell_length_a 9.1531
_cell_length_b 9.1531
_cell_length_c 12.3552
_cell_angle_alpha 90.00
_cell_angle_beta 90.00
_cell_angle_gamma 120.00
_space_group_name_H-M_alt 'R -3 c'
_space_group_IT_number 167
_space_group_name_Hall '-R 3 2"c'
loop_
_atom_site_label
_atom_site_fract_x
_atom_site_fract_y
_atom_site_fract_z
Na1 0.0000 0.3158 0.2500
Sb1 0.0000 0.0000 0.1233
```

The 10 most intense peaks (10 to 80 degrees two-theta), low angle first:
2θ (°)  intensity  index
19.40  100  1 1 0
31.07  41  1 0 4
33.93  57  3 0 0
36.89  29  0 2 4
39.38  16  2 2 0
42.01  38  2 1 4
50.99  19  1 3 4
52.93  14  4 1 0
58.94  15  3 2 4
60.71  10  3 3 0

***

Record 2
Pr2SiCN2O4: calculated XRD peak list (copper Kα), based on a PBE-relaxed structure.
Peak positions follow from Bragg's law for the DFT cell and can differ from measured ones.

Crystal structure
```
data_Pr2SiCN2O4
_chemical_formula_sum 'Pr4 Si2 C2 N4 O8'
_cell_length_a 6.5255
_cell_length_b 6.7966
_cell_length_c 6.8339
_cell_angle_alpha 87.30
_cell_angle_beta 73.21
_cell_angle_gamma 74.05
_space_group_name_H-M_alt 'P -1'
_space_group_IT_number 2
_space_group_name_Hall '-P 1'
loop_
_atom_site_label
_atom_site_fract_x
_atom_site_fract_y
_atom_site_fract_z
Pr1 0.0467 0.1741 0.2193
Pr2 0.4360 0.2665 0.6713
Si1 0.4557 0.8022 0.8122
C1 0.0623 0.6753 0.3089
N1 0.0251 0.4403 0.7498
N2 0.1413 0.7976 0.3719
O1 0.2207 0.9865 0.8859
O2 0.3653 0.1084 0.3715
O3 0.3871 0.6342 0.6945
O4 0.4121 0.2688 0.0186
```

The 10 most intense peaks (10 to 80 degrees two-theta), low angle first:
2θ (°)  intensity  index
19.37  57  1 1 1
23.91  23  1 -1 1
24.14  48  1 1 -1
27.29  100  0 2 0
28.91  49  2 0 1
29.73  40  2 0 0
30.15  42  0 2 -1
31.02  36  0 1 2
34.62  34  2 2 0
45.45  22  2 -2 1

***

Record 3
TcSbTe2: calculated XRD peak list (copper Kα), based on a PBE-relaxed structure.
Peak positions follow from Bragg's law for the DFT cell and can differ from measured ones.

Crystal structure
```
data_TcSbTe2
_chemical_formula_sum 'Tc2 Sb2 Te4'
_cell_length_a 9.7128
_cell_length_b 3.2930
_cell_length_c 7.4143
_cell_angle_alpha 90.00
_cell_angle_beta 112.50
_cell_angle_gamma 90.00
_space_group_name_H-M_alt 'C 1 m 1'
_space_group_IT_number 8
_space_group_name_Hall 'C -2y'
loop_
_atom_site_label
_atom_site_fract_x
_atom_site_fract_y
_atom_site_fract_z
Tc1 0.0000 0.0000 0.0000
Sb1 0.2152 0.5000 0.9980
Te1 0.0346 0.5000 0.3131
Te2 0.3495 0.0000 0.6847
```

The 10 most intense peaks (10 to 80 degrees two-theta), low angle first:
2θ (°)  intensity  index
12.92  72  0 0 1
19.05  35  2 0 -1
26.00  68  2 0 -2
27.62  64  2 0 1
33.33  100  1 1 1
36.50  97  1 1 -2
37.09  51  4 0 -1
39.05  60  3 1 -1
39.47  60  0 0 3
41.85  44  3 1 -2

***

Record 4
└──
So much for the crystal structures:

Volume (Issue)

5 (2)





How to Cite

Efendi, S., & Perdana, A. (2023). The Implementation of Executive Toolbox during Jokowi-JK Administration in the Post-2014 Presidential Election. International Journal of Law and Politics Studies, 5(2), 11-26.







Divided government, executive Toolbox, presidential election, multiparty, coalition